[Wanted]
Print all of the lines further below without additions.
[Listing]
┌──
Computed, not measured: a relaxed Pr2TePb crystal at the PBE level of DFT.

volume	271	Å³ per cell
excess energy over the best structure of this formula in the dataset	0	meV per atom
ρ	7.56	g/cm³
formation energy without anion corrections	-1.0618	eV/atom
magnetization	0.00	Bohr magnetons per cell
space-group type	I4_1/amd (141)

```
8
Lattice="-3.232 3.232 6.486 3.232 -3.232 6.486 3.232 3.232 -6.486" Properties=species:S:1:pos:R:3 pbc="T T T"
Pr 3.232 1.616 -1.629
Pr 0.000 1.616 1.614
Pr 3.232 1.616 4.872
Pr 0.000 1.616 8.116
Te 3.232 1.616 1.622
Te 0.000 1.616 4.865
Pb 3.232 -1.616 4.865
Pb 0.000 4.848 1.622
```
└──
[Response]
Computed, not measured: a relaxed Pr2TePb crystal at the PBE level of DFT.

volume	271	Å³ per cell
excess energy over the best structure of this formula in the dataset	0	meV per atom
ρ	7.56	g/cm³
formation energy without anion corrections	-1.0618	eV/atom
magnetization	0.00	Bohr magnetons per cell
space-group type	I4_1/amd (141)

```
8
Lattice="-3.232 3.232 6.486 3.232 -3.232 6.486 3.232 3.232 -6.486" Properties=species:S:1:pos:R:3 pbc="T T T"
Pr 3.232 1.616 -1.629
Pr 0.000 1.616 1.614
Pr 3.232 1.616 4.872
Pr 0.000 1.616 8.116
Te 3.232 1.616 1.622
Te 0.000 1.616 4.865
Pb 3.232 -1.616 4.865
Pb 0.000 4.848 1.622
```